Originally posted by BlueMax
'Blind testing' whereby a panel of listeners do not know what product they are listening to is also scientific. It is one of the many techniques that may be used to get around the problem of 'Placebo Effect'. [/B]
Blue Max you are cj in a different skin
Blue max wrote ........
But sadly, there are some who will pay absurd sums to boost their fragile egos and with complete disregard to what such a sum can do to help the basic needs of fellow human beings.
You posted this twice now in the last 7 days, Do you feel the need to preach this all the Time?
Unrelated to this piece: records of crystals:
=====
The following is a computed powder diffraction line list of AgP3H12. It was derived from a cell relaxed with PBE, using CuKα.

Most intense lines, 2θ from 10° to 90°, sorted by position:
2θ/deg	d (Å)	Rel. int.
15.4	5.767	1000
19.4	4.585	504
26.1	3.414	302
28.6	3.120	186
31.7	2.826	614
42.2	2.141	209

Structure:
a = 9.7211 Å, b = 9.7211 Å, c = 9.7211 Å
α = 44.86°, β = 44.86°, γ = 44.86°
Fractional positions:
Ag 0.0000 0.0000 0.0000
Ag 0.5000 0.5000 0.5000
P 0.0823 0.4168 0.7524
P 0.2524 0.9168 0.5823
P 0.4168 0.7524 0.0823
P 0.5823 0.2524 0.9168
P 0.7524 0.0823 0.4168
P 0.9168 0.5823 0.2524
H 0.0452 0.7202 0.1215
H 0.0972 0.8323 0.7326
H 0.1215 0.0452 0.7202
H 0.1911 0.2504 0.8888
H 0.2202 0.5452 0.6215
H 0.2326 0.3323 0.5972
H 0.2504 0.8888 0.1911
H 0.2788 0.8825 0.9543
H 0.3323 0.5972 0.2326
H 0.3825 0.7788 0.4543
H 0.3888 0.7504 0.6911
H 0.4543 0.3825 0.7788
H 0.5452 0.6215 0.2202
=====
You are right, a sum like that would help starving kids, battered wives, crime victims, war refugees.
A lot of wealthy people are that way, becasue the don't give it away, thats their part of human nature NOT yours, they'll burn in enternal damnation after they go, so why worry about THEIR faults.
Now your assuming they have fargile ego's, so your a Physcologist now, prehaps they just want to do spend there cash they way they want too, I'm not sticking up for them, yes some do have fargile ego's, but you can't tar them all with the same brush, righty or wronly it's their cash not ours
Next to the article, the page also holds calculated crystals =
********
Structure and simulated X-ray diffraction stick pattern of Nd3Sm7Y (a crystal structure in Alexandria, relaxed with PBE; Cu Kα, 1.54184 Å).

Peak list (10 most intense, 10° ≤ 2θ ≤ 80°, sorted by position)
24.75°, I = 134; 27.89°, I = 128; 30.00°, I = 370; 31.41°, I = 137; 31.52°, I = 146; 32.11°, I = 1000; 44.03°, I = 224; 54.62°, I = 221; 61.44°, I = 106; 66.00°, I = 85

Lattice parameters (Å, degrees): 8.576 8.576 8.576 139.35 97.10 96.75
Element x y z (fractional)
Nd (0.000, 0.000, 0.000)
Nd (0.211, 0.500, 0.711)
Nd (0.789, 0.500, 0.289)
Sm (0.001, 0.799, 0.202)
Sm (0.207, 0.707, 0.500)
Sm (0.403, 0.201, 0.202)
Sm (0.500, 0.500, 0.000)
Sm (0.597, 0.799, 0.798)
Sm (0.793, 0.293, 0.500)
Sm (0.999, 0.201, 0.798)
Y (0.500, 0.000, 0.500)

=====

Structure and simulated X-ray diffraction stick pattern of NdSm2Y (a crystal structure in Alexandria, relaxed with PBE; Cu Kα, 1.54184 Å).

Peak list (10 most intense, 10° ≤ 2θ ≤ 80°, sorted by position)
25.70°, I = 187; 30.26°, I = 825; 31.05°, I = 1000; 31.70°, I = 486; 32.00°, I = 392; 35.83°, I = 268; 45.67°, I = 291; 56.06°, I = 187; 56.92°, I = 152; 60.83°, I = 291

Lattice parameters (Å, degrees): 5.645 6.933 6.933 29.99 90.00 90.00
Element x y z (fractional)
Nd (0.000, 0.000, 0.000)
Sm (0.000, 0.258, 0.258)
Sm (0.500, 0.383, 0.383)
Y (0.500, 0.645, 0.645)

=====

Structure and simulated X-ray diffraction stick pattern of Nd8Sm2Y3 (a crystal structure in Alexandria, relaxed with PBE; Cu Kα, 1.54184 Å).

Peak list (10 most intense, 10° ≤ 2θ ≤ 80°, sorted by position)
24.55°, I = 257; 28.97°, I = 381; 30.21°, I = 416; 31.08°, I = 459; 32.82°, I = 1000; 40.01°, I = 142; 49.93°, I = 118; 56.41°, I = 212; 63.05°, I = 107; 66.48°, I = 111

Lattice parameters (Å, degrees): 11.050 11.050 5.754 90.01 90.01 41.02
Element x y z (fractional)
Nd (0.100, 0.690, 0.000)
Nd (0.172, 0.172, 0.500)
Nd (0.310, 0.900, 0.000)
Nd (0.368, 0.368, 0.500)
Nd (0.632, 0.632, 0.500)
Nd (0.690, 0.100, 0.000)
Nd (0.828, 0.828, 0.500)
Nd (0.900, 0.310, 0.000)
Sm (0.260, 0.260, 0.001)
Sm (0.740, 0.740, 0.999)
Y (0.216, 0.784, 0.500)
Y (0.500, 0.500, 0.000)
Y (0.784, 0.216, 0.500)

=====

Structure and simulated X-ray diffraction stick pattern of NdSm4Y5 (a crystal structure in Alexandria, relaxed with PBE; Cu Kα, 1.54184 Å).

Peak list (10 most intense, 10° ≤ 2θ ≤ 80°, sorted by position)
27.18°, I = 539; 28.32°, I = 275; 29.46°, I = 1000; 30.88°, I = 478; 34.25°, I = 517; 36.75°, I = 254; 38.52°, I = 304; 39.66°, I = 228; 48.74°, I = 215; 55.83°, I = 164

Lattice parameters (Å, degrees): 7.985 7.985 7.985 98.96 98.96 133.51
Element x y z (fractional)
Nd (0.000, 0.000, 0.000)
Sm (0.119, 0.815, 0.399)
Sm (0.416, 0.720, 0.601)
Sm (0.720, 0.119, 0.303)
Sm (0.815, 0.416, 0.697)
Y (0.039, 0.120, 0.618)
Y (0.120, 0.502, 0.080)
Y (0.421, 0.039, 0.920)
Y (0.502, 0.421, 0.382)
Y (0.542, 0.542, 0.000)

=====
********
I feel you are the one who has the problem/chip on shoulder about those who have maybe more finanical substance than most of us.
This is a hifi forum not a first year medical grad's common room
I'll let you into a little secret BM, When I was making a comtable living from my previous venture, Each year we (former Business) used to give £5k a year to local worthy causes and estabished chariities (Glos Air ambulance,Winstons Wish, CLIC, Cancer reasearch and RNIB), not for tax reasons, but because When I had my motorcycle accident, the air abulance saved my life (Just 25 months in hospital), and at that point I was in a postion to 'give something back', each year we'd but 5 names in ahat and the staff that worked for pulled out which 5 th charity recieved the funds. It doesn;t make me anymore or less of a human being than the next man, and I wasn't looking for ego enhancement, I just felt, I was in a postion to repay the debt in a small way.
Now £5k is small drop in the ocean to what is required, but it went towards to right way, also penuts to what some guys spend on hifi or cars or boats or house etc.
Yes the worlds balance is wrong, but every one must do some thing about it together.
So you have a problem with those that spend on hifi, whoopee fucking doo, I have a problem with low life scum/drug dealers and pediophiles/ miscarriadges of justice, and those that bleet about idiocycratic melodrama's, that they need to feed to keep their own inadaquieces at bay.
There are those that nothing sort of spending obsence anounts of money, will surfice, good luck to em' Like the Murphy's I'm Not bitter. WM